Could you find the line below that holds "38.9", then echo that line and all lines after it there?
=====
The following is a calculated PXRD pattern of Nb3TeBr7. It was derived from a crystal structure in Alexandria, relaxed with GGA-PBE, using Cu Kα.
Lines closer than 0.1° are merged.

Unit cell a=7.2734 b=7.2734 c=9.3752 alpha=123.59 beta=123.59 gamma=59.98
Atoms (fractional coordinates):
Nb1 0.0000 0.0000 0.0000
Nb2 0.0005 0.4098 0.0007
Nb3 0.4098 0.0005 0.0007
Te1 0.9976 0.9976 0.7071
Br1 0.0456 0.5436 0.8061
Br2 0.4149 0.9163 0.2369
Br3 0.4157 0.4157 0.2383
Br4 0.5436 0.0456 0.8061
Br5 0.5439 0.5439 0.8064
Br6 0.8974 0.8974 0.1976
Br7 0.9163 0.4149 0.2369

Largest 10 diffraction maxima, in order of rising 2θ, 2θ = 5–70°:
7.213 Å, intensity 1000; 5.817 Å, intensity 188; 2.908 Å, intensity 834; 2.863 Å, intensity 187; 2.840 Å, intensity 479; 2.397 Å, intensity 468; 2.348 Å, intensity 180; 2.322 Å, intensity 158; 1.891 Å, intensity 257; 1.817 Å, intensity 405


The following is a calculated PXRD pattern of Ti2NbBr8. It was derived from a crystal structure in Alexandria, relaxed with GGA-PBE, using Cu Kα.
Lines closer than 0.1° are merged.

Unit cell a=8.1254 b=8.1254 c=6.2925 alpha=91.69 beta=91.69 gamma=77.33
Atoms (fractional coordinates):
Ti1 0.1718 0.1718 0.3446
Ti2 0.8282 0.8282 0.6554
Nb1 0.0000 0.0000 0.0000
Br1 0.1137 0.7056 0.7840
Br2 0.1632 0.1632 0.7370
Br3 0.2944 0.8863 0.2160
Br4 0.3533 0.3533 0.2684
Br5 0.6467 0.6467 0.7316
Br6 0.7056 0.1137 0.7840
Br7 0.8368 0.8368 0.2630
Br8 0.8863 0.2944 0.2160

Largest 10 diffraction maxima, in order of rising 2θ, 2θ = 5–70°:
7.925 Å, intensity 960; 5.076 Å, intensity 251; 4.983 Å, intensity 320; 3.389 Å, intensity 407; 3.317 Å, intensity 1000; 3.144 Å, intensity 389; 2.538 Å, intensity 289; 2.435 Å, intensity 251; 2.276 Å, intensity 245; 1.951 Å, intensity 332


Number 1 is which compound?
Nb3TeBr7


What is the formula in the first record?
Nb3TeBr7

~~~~~

Starting from the GGA-PBE geometry in Alexandria, the X-ray diffraction stick pattern of Ca9Fe2N8 was simulated for CuKα.
Peak positions follow from Bragg's law for the DFT cell and can differ from measured ones.

Principal peaks in the range 2θ from 15° to 90°, in order of rising 2θ:
2θ (°)	I_rel	(hkl)
21.4	32	1 1 -1
23.7	23	3 1 0
29.5	27	1 1 -2
30.2	59	5 1 -1
31.6	23	5 1 0
32.6	57	1 1 2
35.4	28	4 0 -3
36.5	100	0 2 0
37.5	27	6 0 1
38.9	33	6 0 -3

Structure:
a b c (Å): 18.630 4.928 7.770
angles (deg): 90.00 111.53 90.00
Space group C2/m (No. 12)
Symmetry-distinct sites (fractional):
Ca  0.000  0.000  0.000 [2 per cell]
Ca  0.038  0.500  0.737 [4 per cell]
Ca  0.087  0.000  0.485 [4 per cell]
Ca  0.174  0.000  0.952 [4 per cell]
Ca  0.195  0.500  0.322 [4 per cell]
Fe  0.191  0.500  0.699 [4 per cell]
N  0.037  0.000  0.748 [4 per cell]
N  0.108  0.500  0.499 [4 per cell]
N  0.182  0.500  0.912 [4 per cell]
N  0.217  0.000  0.316 [4 per cell]

=====

Starting from the GGA-PBE geometry in Alexandria, the X-ray diffraction stick pattern of Ca2PaFeN4 was simulated for CuKα.
Peak positions follow from Bragg's law for the DFT cell and can differ from measured ones.

Principal peaks in the range 2θ from 15° to 90°, in order of rising 2θ:
2θ (°)	I_rel	(hkl)
15.2	100	0 0 2
17.8	52	0 2 1
28.1	43	0 2 3
30.6	43	0 0 4
31.7	81	1 1 2
32.6	25	0 4 0
37.0	63	1 3 1
39.4	31	1 3 2
41.8	27	1 1 4
52.0	24	1 5 2

Structure:
a b c (Å): 3.372 11.002 11.669
angles (deg): 90.00 90.00 90.00
Space group Cmcm (No. 63)
Symmetry-distinct sites (fractional):
Ca  0.000  0.132  0.045 [8 per cell]
Pa  0.000  0.401  0.250 [4 per cell]
Fe  0.000  0.338  0.750 [4 per cell]
N  0.000  0.064  0.250 [4 per cell]
N  0.000  0.214  0.646 [8 per cell]
N  0.000  0.500  0.000 [4 per cell]

=====

Starting from the GGA-PBE geometry in Alexandria, the X-ray diffraction stick pattern of CaTa2FeN4 was simulated for CuKα.
Peak positions follow from Bragg's law for the DFT cell and can differ from measured ones.
=====
38.9	33	6 0 -3

Structure:
a b c (Å): 18.630 4.928 7.770
angles (deg): 90.00 111.53 90.00
Space group C2/m (No. 12)
Symmetry-distinct sites (fractional):
Ca  0.000  0.000  0.000 [2 per cell]
Ca  0.038  0.500  0.737 [4 per cell]
Ca  0.087  0.000  0.485 [4 per cell]
Ca  0.174  0.000  0.952 [4 per cell]
Ca  0.195  0.500  0.322 [4 per cell]
Fe  0.191  0.500  0.699 [4 per cell]
N  0.037  0.000  0.748 [4 per cell]
N  0.108  0.500  0.499 [4 per cell]
N  0.182  0.500  0.912 [4 per cell]
N  0.217  0.000  0.316 [4 per cell]

=====

Starting from the GGA-PBE geometry in Alexandria, the X-ray diffraction stick pattern of Ca2PaFeN4 was simulated for CuKα.
Peak positions follow from Bragg's law for the DFT cell and can differ from measured ones.

Principal peaks in the range 2θ from 15° to 90°, in order of rising 2θ:
2θ (°)	I_rel	(hkl)
15.2	100	0 0 2
17.8	52	0 2 1
28.1	43	0 2 3
30.6	43	0 0 4
31.7	81	1 1 2
32.6	25	0 4 0
37.0	63	1 3 1
39.4	31	1 3 2
41.8	27	1 1 4
52.0	24	1 5 2

Structure:
a b c (Å): 3.372 11.002 11.669
angles (deg): 90.00 90.00 90.00
Space group Cmcm (No. 63)
Symmetry-distinct sites (fractional):
Ca  0.000  0.132  0.045 [8 per cell]
Pa  0.000  0.401  0.250 [4 per cell]
Fe  0.000  0.338  0.750 [4 per cell]
N  0.000  0.064  0.250 [4 per cell]
N  0.000  0.214  0.646 [8 per cell]
N  0.000  0.500  0.000 [4 per cell]

=====

Starting from the GGA-PBE geometry in Alexandria, the X-ray diffraction stick pattern of CaTa2FeN4 was simulated for CuKα.
Peak positions follow from Bragg's law for the DFT cell and can differ from measured ones.